What is the "namespace string" of a document in Cloud FireStore (for purposes of calculating the doc's storage size)? - google-cloud-firestore

[EDIT: Thanks to #JRLtechwriting, the Storage Size Calculations doc mentioned below has been updated so it no longer mentions namespaces-- Firestore does not (yet?) support them-- and includes more complete examples. After these improvements, my question may not come up again!]
I'm trying to write a general function to calculate the storage size of a Cloud Firestore document, but I'm already stuck on calculating the size of the document's name because I don't know exactly what they mean by a document's "namespace" in the Storage Size Calculations guide:
The size of a document name is the sum of:
The namespace string size (if not in the default namespace)
The full string size of the document name (integer IDs are 8 bytes each)
16 additional bytes
It also says that the namespace is stored as a string. So, for this hypothetical CFS doc...
var alovelaceDocumentRef = db.collection('users').doc('alovelace');
...which, per the Cloud Firestore Data Model docs, can also be referenced like this...
var alovelaceDocumentRef = db.doc('users/alovelace');
...would the namespace string be 'users'? Or maybe 'users/'? Unfortunately, all of the examples in the Storage Size Calculations guide assume the default namespace (for which the size is 0).
I feel like I should be able to experimentally find the answer to my question, but the only way I can think of to do so is to:
Create a document in a non-default namespace
Track its size in a variable "docSize" using the information in the
Storage Size Calculations guide) as I incrementally add data to it
When I get an error message that I have exceeded the maximum
document size (1,048,576 bytes, according to the Quotas and Limits
guide), subtract docSize from 1,048,576 to get the size of the namespace
But this approach seems labor-intensive, and probably prone to inaccuracies arising from other limitations of my understanding/knowledge, so I'm hoping one of you more-knowledgeable folks can help. Thanks!

Firestore does not support different namespaces (see this SO answer) so all documents will be in the default namespace. The namespace string size will always be 0.
I help maintain the Firestore docs so I updated the page.


KubeFlow, handling large dynamic arrays and ParallelFor with current size limitations

I've been struggling to find a good solution for this manner for the past day and would like to hear your thoughts.
I have a pipeline which receives a large & dynamic JSON array (containing only stringified objects),
I need to be able to create a ContainerOp for each entry in that array (using dsl.ParallelFor).
This works fine for small inputs.
Right now the array comes in as a file http url due to pipeline input arguements size limitations of argo and Kubernetes (or that is what I understood from the current open issues), but - when I try to read the file from one Op to use as input for the ParallelFor I encounter the output size limitation.
What would be a good & reusable solution for such a scenario?
the array comes in as a file http url due to pipeline input arguements size limitations of argo and Kubernetes
Usually the external data is first imported into the pipeline (downloaded and output). Then the components use inputPath and outputPath to pass big data pieces as files.
The size limitation only applies for the data that you consume as value instead of file using inputValue.
The loops consume the data by value, so the size limit applies to them.
What you can do is make this data smaller. For example if your data is a JSON list of big objects [{obj1}, {obj2}, ... , {objN}], you can transform it to list of indexes [1, 2, ... , N], pass that list to the loop and then inside the loop you can have a component that uses the index and the data to select a single piece to work on N ->{objN}.

Can we change data type of dimension post ingestion in Druid

We are doing POC on Druid to check whether it fits our use cases. Though we are able to ingest data but not sure on following:
How druid supports schemaless input: Let's say input dimension are on end user discretion. Then there is no defined schema here. Thus onus lies on application to identify new dimension, identify data type and ingest. Any way to achieve this?
How druid support data type changes: Lets say in course (say after ingesting 100GBs of data), there is need to change data type of dimension from string to long or long to string (or other). What are receommended way to do it without hampering ongoing ingestion?
I looked over docs but could not get a substantial overview for both use cases.
For question 1 I'd ingest everything as string and figure it out later. It should be possible to query string columns in druid as numbers
Getting the possible behaviours explained in: https://github.com/apache/incubator-druid/issues/4888
Consider values are zeros, do not try to parse string values. Seems this is the current behaviour.
Try to parse string values, and consider values are zero if they are not parseable, or null, or multiple-value
One current inconsistency is that with expression-based column selectors (anything that goes through Parser/Expr) the behavior is (2). See IdentifierExpr + how it handles strings that are treated as numbers. But with direct column selectors the behavior is (1). In particular this means that e.g. a longSum aggregator behaves differently if it's "fieldName" : "x" vs. "expression" : "x" even though you might think they should behave the same.
You can follow the entire discussion here: https://github.com/apache/incubator-druid/issues/4888
For question 2 it think it is necessary a reindex of the data
- http://druid.io/docs/latest/ingestion/update-existing-data.html
- http://druid.io/docs/latest/ingestion/schema-changes.html
I hope this helps
1) In such cases, you don't need to specify any dimension columns in druid ingestion spec and druid will treat all columns which are not timestamp as a dimension.
More detail about such approach can be found here:
Druid Schema less Ingestion
2) For 2nd question, you can make changes to schema and druid will create new segments with new data type while your old segments will still use old data type.
In cases if you want to keep all your segments with new data type then you can reindex all the segments. Please checkout this link for further description about reindexing all segments. http://druid.io/docs/latest/ingestion/update-existing-data.html
Additional info on schema changes can be found here:

Firestore Geopoint in an Arrays

I am working with an interesting scenario that I am not sure can work, or will work well. With my current project I am trying to find an efficient way of working with geopoints in firestore. The straight forward approach where a document can contain a geopoints field is pretty self explanatory and easy to query. However, I am having to work with a varying amount of geopoints for a single document (Article). The reason for this is because a specific piece of content may need to be available in more than one geographic area.
For example, An article may need to be available only in NYC, Denver and Seattle. Using a geopoint for each location and searching by radius, in general, is a pretty standard task if I only wanted the article to be available in Seattle, but now it needs to be available in two more places.
The solution as I see it currently is to use an array and fill it with geopoints. The structure would look something like this:
articleText (String),
sortTime (Timestamp),
tags (Array)
- ['tagA','tagB','tagC','tagD'],
availableLocations (Array)
- [(Geopoint), (Geopoint), (Geopoint), (Geopoint)]
Then performing a query to get all content within 10 miles of a specific Geopoint starting at a specific postTime.
What I don't know is if putting the geopoints in an array works well or should be avoided in favor or another data structure.
I have considered replicating an article document for each geopoint, but that does not scale very well if more than a handful of locations needs defining. I've also considered creating a "reference" collection where each point is a document that contains the documentID of an article, but this leads to reading each reference document then reading the actual document. Essentially two document reads for 1 piece of content, which can get expensive based on the Firestore pricing model, and may slow things down unnecessarily.
Am I approaching this in an acceptable way? And are there other methods that can work more efficiently?

Between two parts of the article: molecular data >
A 2-piece molecular cluster, C2H4P2 overall. Source: the Open Molecules 2025 dataset; level of theory: the ωB97M-V functional and the def2-TZVPD basis.

Last column: Löwdin charge in e.
Geometry (Å):
C  -1.8652  1.5865  -0.3044  -0.392
C  2.4905  -0.8060  0.1265  -0.570
P  -1.5932  -0.0320  -0.0836  0.670
P  3.1258  0.5006  -0.4006  0.674
H  -0.9553  2.1774  -0.2255  -0.100
H  2.0321  -1.6374  0.5831  -0.099
H  -2.7277  -0.9615  -0.1117  -0.064
H  -0.5071  -0.8275  0.4162  -0.119

Calculated values
Total energy: -761.089009 Eh
Energy above the lowest of the compared OMol25 structures with the same formula, charge and spin: 435.5 kJ/mol
HOMO-LUMO gap: 0.3349 Ha
Highest occupied orbital energy: -9.0 eV
LUMO level: 0.1 eV



A 2-piece molecular cluster, C2H4P2S overall. Source: the Open Molecules 2025 dataset; level of theory: the ωB97M-V functional and the def2-TZVPD basis.

Last column: Löwdin charge in e.
Geometry (Å):
C  -1.1384  0.4157  -0.7187  -0.114
C  0.1671  0.2684  -1.0755  -0.158
P  0.0564  -2.2670  1.6370  0.286
P  0.9287  -0.6060  1.8256  -0.277
S  2.0987  0.8869  2.1046  0.103
H  -1.9218  -0.2996  -1.1680  0.076
H  -1.6111  1.1270  -0.0653  0.033
H  1.0559  0.8844  -0.7097  0.040
H  0.3646  -0.4098  -1.8299  0.012

Calculated values
Total energy: -1159.406868 Eh
Energy above the lowest of the compared OMol25 structures with the same formula, charge and spin: 211.9 kJ/mol
HOMO-LUMO gap: 0.2983 Ha
Highest occupied orbital energy: -8.9 eV
LUMO level: -0.8 eV



A 2-piece molecular cluster, C2H4P2S overall. Source: the Open Molecules 2025 dataset; level of theory: the ωB97M-V functional and the def2-TZVPD basis.

Last column: Löwdin charge in e.
Geometry (Å):
C  0.6288  -0.5895  0.0118  -0.627
C  0.8224  0.8391  -0.1491  -0.249
P  1.1241  -2.1380  0.0815  0.770
P  -2.3976  -0.4566  -0.3479  0.179
S  -2.4772  1.4074  0.1051  -0.036
H  -0.0179  1.3534  0.5437  0.040
H  0.3909  1.1117  -1.0481  0.023
H  1.8436  1.1819  0.0491  0.082
H  0.0829  -2.7092  0.7540  -0.181

Calculated values
Total energy: -1159.335660 Eh
Energy above the lowest of the compared OMol25 structures with the same formula, charge and spin: 177.4 kJ/mol
HOMO-LUMO gap (spin up / spin down): 0.2281 / 0.2949 Ha
Highest occupied orbital energy (spin up / spin down): -7.4 / -9.6 eV
LUMO level (spin up / spin down): -1.2 / -1.6 eV
2S+1: 3



One molecule with the formula C2H4S. Source: the Open Molecules 2025 dataset; level of theory: the ωB97M-V functional and the def2-TZVPD basis.

Last column: Löwdin charge in e.
Geometry (Å):
C  -0.5705  -0.3024  0.0957  -0.236
C  0.6438  0.5248  0.0166  -0.766
H  -1.3122  0.1724  -0.4907  0.021
H  -1.2005  -0.7712  0.9899  0.127
H  -0.0933  -1.0993  -0.8004  0.130
H  0.4085  1.6570  0.1226  0.085
S  2.1243  -0.1812  0.0662  0.639

Calculated values
Total energy: -476.702238 Eh
Energy above the lowest of the compared OMol25 structures with the same formula, charge and spin: 154.6 kJ/mol
HOMO-LUMO gap: 0.3080 Ha
So much for the molecular data >

Updating Redundant data/denormalized data in NoSQL(Aerospike)

My question is that I am having a problem where I need to update the data which is been denormalized due to being in NoSQL because a single update in one data needs to be updated in all other redundant data.
For eg: Consider an e-commerce database where there is one table "Products" which contains all the details about a product , let's say name,imageName, LogoImage
Now in this case the LogoImage of various "Products" table entry can be same, and now I need to update the LogoImage, so I need to update in all the fields which contains the given LogoImage. which seems like a very poor solution
So is there any better way to do that?
P.S.: If we seperate logo and Products into 2 different table , so when I need to get 1000 products at a time , I need to get the related logos by implementing a client level join type thing, which is also not a good solution.
You're suggesting using the database as your CDN and storing the binary image in it? That's not a great approach, in my opinion. You should be storing that image in an actual CDN like Amazon Cloudfront, or a simple one like Amazon S3, or your own webserver as a file. Whichever, the point is that you should be referring to it by URI. In Aerospike you would store the metadata about that image, not the image itself.
Next, you can have two sets - prod for products and prodimg for product images. The various products store a list of IDs referring to the product image set. The product image set has metadata about each image as a separate record { uri, name, title, width, length, ... } . If anything changes about this image, you just update the one record with the metadata for that image in prodimg. No need to change anything about the products.
And you don't really need JOIN functionality in this case. Your application can get the prod record first, and use the bin (images) that has all the IDs of the images for the product (each referring to a key of a record in prodimg). You can then issue either a few get operations (reads) or a single batch-read for all of them if there are many. The latencies for Aerospike are such that this will return faster and scale better than an equivalent JOIN in an RDBMS. A batch-read is a multi-node, multi-core, multi-threaded operation. A cluster of 3 multi-core nodes has plenty of parallel computing power.
Again, if you "need 1000 products at a time" use batch-read. In the Java client that's an AerospikeClient.get() with a list of Key objects. In the Python client that's an aerospike.Client.get_many. Every Aerospike client has batch-read functionality.

How to break up large document into smaller answer units on Retrieve and Rank?

I am still very new to Retrieve and Rank, and Document Conversion services, so I have been playing around with that lately.
I encountered a problem where when I upload a large document (100+ pages) - Retrieve and Rank would help me automatically break it up into answer units, which is great and helpful.
However, some questions only require ONE small line in the big chunks of answer units, is there a way that I can manually break further down the answer units that Retrieve and Rank service has provided me?
I heard that you can do it through JavaScript, but is there a way to do it through the UI?
I am contemplating to manually break up the huge doc into multiple smaller documents, but that could potentially lead to 100s of them - which is probably the last option that I'd resort to.
Any help or suggestions is greatly appreciated!
Thank you all!
First off, one clarification:
Retrieve and Rank does not break up your documents into answer units. That is something that the Document Conversion Service does when your conversion target is ANSWER_UNITS.
Regarding your question:
I don't fully understand exactly what you're trying to do, but if the answer units that are produced by default don't meet your requirements, you can customize different steps of the conversion process to adjust the produced answer units. Take a look at the documentation here.
Specifically, you want to make sure that the heading levels (for Word, PDF or HTML, depending on your document type) are defined in a way that
they detect the start of each answer unit. Then, make sure that the heading levels that you defined (h1, h2, h3, etc.) are included in the selector_tags list within the answer_units section.
Once your custom Document Conversion Service configuration produces the answer units you are looking for, you will be ready to send them to Retrieve and Rank to be indexed.